Exercise:
Print the part of the data further below that starts with the line with "0.8552 0.2714" and stops after the one with "0.7968 0.3219".

Listing:
'''
Entry 1:
Here is a relaxed structure of Sr13Al6Si8O from the Materials Project. Energies are from PBE.

Summary:
The value obtained for the volume is 794.8 Å³/cell. The total energy comes out at -3.873 eV per atom. For the energy relative to the elements, the calculation gives -0.584 eV/atom.

Cell: 11.7016 11.7016 17.5606 Å, 124.37 124.37 23.87°
Sites, in units of the cell vectors:
Sr: 0.0000 0.0000 0.0000
Sr: 0.3061 0.3061 0.3530
Sr: 0.3065 0.3065 0.1089
Sr: 0.3152 0.3152 0.6086
Sr: 0.3454 0.3454 0.8829
Sr: 0.4977 0.4977 0.1409
Sr: 0.4985 0.4985 0.3794
Sr: 0.5015 0.5015 0.6206
Sr: 0.5023 0.5023 0.8591
Sr: 0.6546 0.6546 0.1171
Sr: 0.6848 0.6848 0.3914
Sr: 0.6935 0.6935 0.8911
Sr: 0.6939 0.6939 0.6470
Al: 0.0661 0.0661 0.3091
Al: 0.0693 0.0693 0.5525
Al: 0.0725 0.0725 0.7949
Al: 0.9275 0.9275 0.2051
Al: 0.9307 0.9307 0.4475
Al: 0.9339 0.9339 0.6909
Si: 0.1307 0.1307 0.2339
Si: 0.1329 0.1329 0.9658
Si: 0.1391 0.1391 0.4838
Si: 0.1448 0.1448 0.7286
Si: 0.8552 0.8552 0.2714
Si: 0.8609 0.8609 0.5162
Si: 0.8671 0.8671 0.0342
Si: 0.8693 0.8693 0.7661
O: 0.5000 0.5000 0.0000

=====

Entry 2:
Here is a relaxed structure of Ba4La2Cu6O13 from the Materials Project. Energies are from PBE.

Summary:
The value obtained for the volume is 377.6 Å³/cell. The total energy comes out at -6.100 eV per atom. For the energy relative to the elements, the calculation gives -2.199 eV/atom.

Cell: 12.6728 12.6488 5.6041 Å, 77.45 76.97 25.57°
Sites, in units of the cell vectors:
Ba: 0.1495 0.6622 0.8505
Ba: 0.3378 0.8505 0.6622
Ba: 0.6622 0.1495 0.3378
Ba: 0.8505 0.3378 0.1495
La: 0.0000 0.5000 0.0000
La: 0.5000 0.0000 0.5000
Cu: 0.0754 0.5726 0.4274
Cu: 0.2369 0.7631 0.2369
Cu: 0.4274 0.9246 0.0754
Cu: 0.5726 0.0754 0.9246
Cu: 0.7631 0.2369 0.7631
Cu: 0.9246 0.4274 0.5726
O: 0.0000 0.0000 0.0000
O: 0.1833 0.1833 0.8167
O: 0.1845 0.1845 0.3155
O: 0.1936 0.6558 0.3442
O: 0.3155 0.3155 0.1845
O: 0.3152 0.3152 0.6848
O: 0.3442 0.8064 0.1936
O: 0.6558 0.1936 0.8064
O: 0.6848 0.6848 0.3152
O: 0.6845 0.6845 0.8155
O: 0.8064 0.3442 0.6558
O: 0.8155 0.8155 0.6845
O: 0.8167 0.8167 0.1833

=====

Entry 3:
Here is a relaxed structure of Hf8PbO24 from the Materials Project. Energies are from PBE.

Summary:
The value obtained for the volume is 566.7 Å³/cell. The total energy comes out at -8.239 eV per atom. For the energy relative to the elements, the calculation gives -2.614 eV/atom.

Cell: 9.2511 9.2511 9.2405 Å, 113.40 113.40 53.10°
Sites, in units of the cell vectors:
Hf: 0.0549 0.5635 0.2460
Hf: 0.1816 0.6908 0.7542
Hf: 0.3092 0.8184 0.2458
Hf: 0.4365 0.9451 0.7540
Hf: 0.5635 0.0549 0.2460
Hf: 0.6908 0.1816 0.7542
Hf: 0.8184 0.3092 0.2458
Hf: 0.9451 0.4365 0.7540
Pb: 0.5000 0.5000 0.5000
O: 0.0000 0.5000 0.0000
O: 0.0619 0.0619 0.2512
O: 0.0618 0.5619 0.7475
O: 0.1438 0.6194 0.5001
O: 0.1860 0.1860 0.7478
O: 0.2032 0.6781 0.2627
O: 0.2518 0.7482 0.0000
O: 0.3219 0.3219 0.2618
O: 0.3219 0.7968 0.7373
O: 0.3806 0.8562 0.4999
O: 0.4381 0.9382 0.2525
O: 0.4408 0.4408 0.7371
O: 0.5000 0.0000 0.0000
O: 0.5592 0.5592 0.2629
O: 0.5619 0.0618 0.7475
O: 0.6194 0.1438 0.5001
O: 0.6781 0.2032 0.2627
O: 0.6781 0.6781 0.7382
O: 0.7482 0.2518 0.0000
O: 0.7968 0.3219 0.7373
O: 0.8140 0.8140 0.2522
O: 0.8562 0.3806 0.4999
'''

Worked solution:
Si: 0.8552 0.8552 0.2714
Si: 0.8609 0.8609 0.5162
Si: 0.8671 0.8671 0.0342
Si: 0.8693 0.8693 0.7661
O: 0.5000 0.5000 0.0000

=====

Entry 2:
Here is a relaxed structure of Ba4La2Cu6O13 from the Materials Project. Energies are from PBE.

Summary:
The value obtained for the volume is 377.6 Å³/cell. The total energy comes out at -6.100 eV per atom. For the energy relative to the elements, the calculation gives -2.199 eV/atom.

Cell: 12.6728 12.6488 5.6041 Å, 77.45 76.97 25.57°
Sites, in units of the cell vectors:
Ba: 0.1495 0.6622 0.8505
Ba: 0.3378 0.8505 0.6622
Ba: 0.6622 0.1495 0.3378
Ba: 0.8505 0.3378 0.1495
La: 0.0000 0.5000 0.0000
La: 0.5000 0.0000 0.5000
Cu: 0.0754 0.5726 0.4274
Cu: 0.2369 0.7631 0.2369
Cu: 0.4274 0.9246 0.0754
Cu: 0.5726 0.0754 0.9246
Cu: 0.7631 0.2369 0.7631
Cu: 0.9246 0.4274 0.5726
O: 0.0000 0.0000 0.0000
O: 0.1833 0.1833 0.8167
O: 0.1845 0.1845 0.3155
O: 0.1936 0.6558 0.3442
O: 0.3155 0.3155 0.1845
O: 0.3152 0.3152 0.6848
O: 0.3442 0.8064 0.1936
O: 0.6558 0.1936 0.8064
O: 0.6848 0.6848 0.3152
O: 0.6845 0.6845 0.8155
O: 0.8064 0.3442 0.6558
O: 0.8155 0.8155 0.6845
O: 0.8167 0.8167 0.1833

=====

Entry 3:
Here is a relaxed structure of Hf8PbO24 from the Materials Project. Energies are from PBE.

Summary:
The value obtained for the volume is 566.7 Å³/cell. The total energy comes out at -8.239 eV per atom. For the energy relative to the elements, the calculation gives -2.614 eV/atom.

Cell: 9.2511 9.2511 9.2405 Å, 113.40 113.40 53.10°
Sites, in units of the cell vectors:
Hf: 0.0549 0.5635 0.2460
Hf: 0.1816 0.6908 0.7542
Hf: 0.3092 0.8184 0.2458
Hf: 0.4365 0.9451 0.7540
Hf: 0.5635 0.0549 0.2460
Hf: 0.6908 0.1816 0.7542
Hf: 0.8184 0.3092 0.2458
Hf: 0.9451 0.4365 0.7540
Pb: 0.5000 0.5000 0.5000
O: 0.0000 0.5000 0.0000
O: 0.0619 0.0619 0.2512
O: 0.0618 0.5619 0.7475
O: 0.1438 0.6194 0.5001
O: 0.1860 0.1860 0.7478
O: 0.2032 0.6781 0.2627
O: 0.2518 0.7482 0.0000
O: 0.3219 0.3219 0.2618
O: 0.3219 0.7968 0.7373
O: 0.3806 0.8562 0.4999
O: 0.4381 0.9382 0.2525
O: 0.4408 0.4408 0.7371
O: 0.5000 0.0000 0.0000
O: 0.5592 0.5592 0.2629
O: 0.5619 0.0618 0.7475
O: 0.6194 0.1438 0.5001
O: 0.6781 0.2032 0.2627
O: 0.6781 0.6781 0.7382
O: 0.7482 0.2518 0.0000
O: 0.7968 0.3219 0.7373